**Material:**
=====
The following is a DFT calculation (the ωB97M-V functional and the def2-TZVPD basis) of a molecular structure, C24H35Cl2N2OS3SiV.

Last column: natural (NBO) charge in e.
Positions of all 69 atoms, in Å:
V 0.36656 0.08854 -0.54113  1.211
C 1.50713 -1.76964 3.69817  -0.542
C 0.59498 -0.58435 4.00027  -0.535
S -0.01958 0.32822 2.55003  0.269
C -1.78058 -0.07123 2.54883  -0.534
C -2.13043 -1.46832 2.06150  -0.562
S -1.52470 -1.77305 0.37831  0.311
C -0.51713 -3.26858 0.55823  -0.533
C 0.82063 -3.13085 1.28668  -0.550
S 0.69781 -3.27283 3.09796  0.174
H 2.01276 -2.06733 4.61802  0.230
H 2.27916 -1.48414 2.98763  0.239
H 1.15463 0.14525 4.58903  0.233
H -0.26519 -0.89950 4.59147  0.222
H -2.22411 0.68424 1.89686  0.225
H -2.17829 0.08642 3.55266  0.226
H -3.21445 -1.59126 2.04589  0.226
H -1.70308 -2.22470 2.71515  0.247
H -0.32909 -3.56696 -0.47510  0.252
H -1.14090 -4.03978 1.01131  0.226
H 1.30233 -2.18734 1.03727  0.255
H 1.47525 -3.93576 0.95398  0.228
C 3.04716 -0.08784 -3.19592  -1.135
Si 3.26003 -0.83702 -1.50224  1.838
C 5.07805 -0.70388 -1.08725  -1.139
C 2.83079 -2.64921 -1.56066  -1.141
N 2.26873 0.01508 -0.32490  -1.212
C 2.81212 0.74748 0.76125  0.258
C 2.44225 2.08372 0.95806  -0.269
C 2.89568 2.80699 2.05145  -0.183
C 3.75862 2.22804 2.97230  -0.259
C 4.16302 0.91439 2.77448  -0.195
C 3.69792 0.18665 1.68763  -0.299
H 3.94795 -0.24987 -3.79681  0.232
H 2.87540 0.98812 -3.12530  0.245
H 2.20454 -0.53077 -3.73127  0.238
H 5.64114 -1.07532 -1.94878  0.237
H 5.37206 -1.30023 -0.21988  0.229
H 5.38610 0.33068 -0.90672  0.242
H 3.37416 -3.12376 -2.38558  0.239
H 1.76215 -2.79840 -1.73413  0.247
H 3.11927 -3.15743 -0.63577  0.225
H 1.78278 2.55074 0.23507  0.211
H 2.57528 3.83369 2.17981  0.209
H 4.11940 2.79298 3.82210  0.212
H 4.84837 0.44813 3.47267  0.210
H 4.01264 -0.84254 1.55247  0.213
C -1.52380 3.64355 0.39734  -0.693
C -1.72807 2.33964 -0.29344  0.414
C -2.81632 2.09519 -1.28110  -0.702
O -0.79311 1.43004 -0.15468  -0.647
H -2.41338 4.26884 0.33636  0.223
H -0.68748 4.20138 -0.05082  0.245
H -1.27087 3.49122 1.45287  0.245
H -2.49817 2.32953 -2.30822  0.259
H -3.69655 2.69893 -1.06041  0.223
H -3.09931 1.03661 -1.27176  0.244
Cl -0.86908 -3.11526 -3.23587  -0.007
C -0.83597 -1.58539 -4.06064  0.045
C -1.22416 -1.53706 -5.38495  -0.250
C -1.20453 -0.32952 -6.06297  -0.224
C -0.79665 0.81924 -5.40740  -0.224
C -0.41465 0.75577 -4.07961  -0.051
Cl 0.10124 2.21421 -3.28961  0.023
C -0.41400 -0.45044 -3.35170  0.028
N 0.00395 -0.51993 -2.04547  -0.794
H -1.53995 -2.44708 -5.87713  0.227
H -1.50374 -0.28442 -7.10129  0.219
H -0.77155 1.77220 -5.91793  0.227

## Properties
**Total charge**: 0
**HOMO-LUMO gap (spin up / spin down)**: 6.6 / 6.4 eV
**Spin multiplicity**: 1
**LUMO (spin up / spin down)**: 0.26 / 0.15 eV
**HOMO (spin up / spin down)**: -0.2322 / -0.2314 hartree

***

The following is a DFT calculation (the ωB97M-V functional and the def2-TZVPD basis) of 7 unconnected molecules or ions with the total composition C17H43BN14O13S2.

Last column: Mulliken charge in e.
Positions of all 90 atoms, in Å:
O -6.46276 -1.72898 2.74831  -0.649
S -5.23681 -0.74183 2.70529  1.187
O -5.36398 0.13247 4.01350  -0.614
O -5.38315 0.38602 1.40521  -0.391
C -4.09705 0.57509 0.71648  -0.650
C -2.83217 0.88335 1.76622  0.995
O -3.23818 1.98920 2.68164  -0.500
C -1.54513 1.24564 0.81507  -0.913
C -0.59753 2.45054 1.41241  -0.011
C 0.03666 2.15972 2.89474  -0.352
C 1.39684 1.24630 2.90761  -0.423
S 2.67315 1.69430 1.61277  -0.084
C 2.39137 0.62760 0.09492  0.101
N 1.81900 1.32749 -1.12256  0.129
N 1.74037 0.35011 -2.13072  -0.412
C 2.22768 -0.96143 -1.52074  0.076
O 2.64641 -0.81160 -0.09655  -0.289
C -2.40403 -0.48688 2.61639  -0.852
C -3.58083 -1.62819 2.63870  0.071
C -3.46071 -2.73885 1.41896  -0.890
B -3.05563 -4.25775 1.94867  0.401
O -3.63343 -5.39657 1.16863  -0.490
O -2.14684 -4.50961 3.08577  -0.486
H -4.15578 1.52199 0.02181  0.493
H -3.75112 -0.32289 0.05075  0.223
H -3.74811 2.69061 2.14095  0.409
=====

**Work order:**
Could you duplicate all of the notes above word for word?

**Result:**
The following is a DFT calculation (the ωB97M-V functional and the def2-TZVPD basis) of a molecular structure, C24H35Cl2N2OS3SiV.

Last column: natural (NBO) charge in e.
Positions of all 69 atoms, in Å:
V 0.36656 0.08854 -0.54113  1.211
C 1.50713 -1.76964 3.69817  -0.542
C 0.59498 -0.58435 4.00027  -0.535
S -0.01958 0.32822 2.55003  0.269
C -1.78058 -0.07123 2.54883  -0.534
C -2.13043 -1.46832 2.06150  -0.562
S -1.52470 -1.77305 0.37831  0.311
C -0.51713 -3.26858 0.55823  -0.533
C 0.82063 -3.13085 1.28668  -0.550
S 0.69781 -3.27283 3.09796  0.174
H 2.01276 -2.06733 4.61802  0.230
H 2.27916 -1.48414 2.98763  0.239
H 1.15463 0.14525 4.58903  0.233
H -0.26519 -0.89950 4.59147  0.222
H -2.22411 0.68424 1.89686  0.225
H -2.17829 0.08642 3.55266  0.226
H -3.21445 -1.59126 2.04589  0.226
H -1.70308 -2.22470 2.71515  0.247
H -0.32909 -3.56696 -0.47510  0.252
H -1.14090 -4.03978 1.01131  0.226
H 1.30233 -2.18734 1.03727  0.255
H 1.47525 -3.93576 0.95398  0.228
C 3.04716 -0.08784 -3.19592  -1.135
Si 3.26003 -0.83702 -1.50224  1.838
C 5.07805 -0.70388 -1.08725  -1.139
C 2.83079 -2.64921 -1.56066  -1.141
N 2.26873 0.01508 -0.32490  -1.212
C 2.81212 0.74748 0.76125  0.258
C 2.44225 2.08372 0.95806  -0.269
C 2.89568 2.80699 2.05145  -0.183
C 3.75862 2.22804 2.97230  -0.259
C 4.16302 0.91439 2.77448  -0.195
C 3.69792 0.18665 1.68763  -0.299
H 3.94795 -0.24987 -3.79681  0.232
H 2.87540 0.98812 -3.12530  0.245
H 2.20454 -0.53077 -3.73127  0.238
H 5.64114 -1.07532 -1.94878  0.237
H 5.37206 -1.30023 -0.21988  0.229
H 5.38610 0.33068 -0.90672  0.242
H 3.37416 -3.12376 -2.38558  0.239
H 1.76215 -2.79840 -1.73413  0.247
H 3.11927 -3.15743 -0.63577  0.225
H 1.78278 2.55074 0.23507  0.211
H 2.57528 3.83369 2.17981  0.209
H 4.11940 2.79298 3.82210  0.212
H 4.84837 0.44813 3.47267  0.210
H 4.01264 -0.84254 1.55247  0.213
C -1.52380 3.64355 0.39734  -0.693
C -1.72807 2.33964 -0.29344  0.414
C -2.81632 2.09519 -1.28110  -0.702
O -0.79311 1.43004 -0.15468  -0.647
H -2.41338 4.26884 0.33636  0.223
H -0.68748 4.20138 -0.05082  0.245
H -1.27087 3.49122 1.45287  0.245
H -2.49817 2.32953 -2.30822  0.259
H -3.69655 2.69893 -1.06041  0.223
H -3.09931 1.03661 -1.27176  0.244
Cl -0.86908 -3.11526 -3.23587  -0.007
C -0.83597 -1.58539 -4.06064  0.045
C -1.22416 -1.53706 -5.38495  -0.250
C -1.20453 -0.32952 -6.06297  -0.224
C -0.79665 0.81924 -5.40740  -0.224
C -0.41465 0.75577 -4.07961  -0.051
Cl 0.10124 2.21421 -3.28961  0.023
C -0.41400 -0.45044 -3.35170  0.028
N 0.00395 -0.51993 -2.04547  -0.794
H -1.53995 -2.44708 -5.87713  0.227
H -1.50374 -0.28442 -7.10129  0.219
H -0.77155 1.77220 -5.91793  0.227

## Properties
**Total charge**: 0
**HOMO-LUMO gap (spin up / spin down)**: 6.6 / 6.4 eV
**Spin multiplicity**: 1
**LUMO (spin up / spin down)**: 0.26 / 0.15 eV
**HOMO (spin up / spin down)**: -0.2322 / -0.2314 hartree

***

The following is a DFT calculation (the ωB97M-V functional and the def2-TZVPD basis) of 7 unconnected molecules or ions with the total composition C17H43BN14O13S2.

Last column: Mulliken charge in e.
Positions of all 90 atoms, in Å:
O -6.46276 -1.72898 2.74831  -0.649
S -5.23681 -0.74183 2.70529  1.187
O -5.36398 0.13247 4.01350  -0.614
O -5.38315 0.38602 1.40521  -0.391
C -4.09705 0.57509 0.71648  -0.650
C -2.83217 0.88335 1.76622  0.995
O -3.23818 1.98920 2.68164  -0.500
C -1.54513 1.24564 0.81507  -0.913
C -0.59753 2.45054 1.41241  -0.011
C 0.03666 2.15972 2.89474  -0.352
C 1.39684 1.24630 2.90761  -0.423
S 2.67315 1.69430 1.61277  -0.084
C 2.39137 0.62760 0.09492  0.101
N 1.81900 1.32749 -1.12256  0.129
N 1.74037 0.35011 -2.13072  -0.412
C 2.22768 -0.96143 -1.52074  0.076
O 2.64641 -0.81160 -0.09655  -0.289
C -2.40403 -0.48688 2.61639  -0.852
C -3.58083 -1.62819 2.63870  0.071
C -3.46071 -2.73885 1.41896  -0.890
B -3.05563 -4.25775 1.94867  0.401
O -3.63343 -5.39657 1.16863  -0.490
O -2.14684 -4.50961 3.08577  -0.486
H -4.15578 1.52199 0.02181  0.493
H -3.75112 -0.32289 0.05075  0.223
H -3.74811 2.69061 2.14095  0.409